_Assignment_
The reader should quote the material further below exactly.

_Data_
Computed, not measured: PaGa3 after structural relaxation at the PBE level of DFT.

a = 6.2763 Å, b = 6.2763 Å, c = 4.5577 Å
α = 90.00°, β = 90.00°, γ = 120.00°
Last column: nearest neighbours and their distance in Å.
Space group P6_3/mmc (No. 194)
Asymmetric unit:
Pa 0.3333 0.6667 0.2500 x2  12 Ga 3.03-3.14
Ga 0.1496 0.2992 0.7500 x6  6 Ga 2.80-2.82, 2 Pa 3.03

Calculated values
**Energy relative to the lowest polymorph listed for this composition**: 0.07 eV/f.u.
**E**: -5.01 eV/atom
**Energy of formation from the pure elements**: -0.36 eV per atom

~~~~~

Record 1
Entry from Materials Project: an optimized crystal structure of ZnS (PBE-GGA).

```
ZnS
1.0
12.837 0.000 0.000
-0.259 12.862 0.000
-0.056 -1.404 14.390
Zn S
50 50
direct
0.000 0.000 0.000
0.000 0.695 0.026
0.120 0.087 0.791
0.128 0.044 0.275
0.159 0.367 0.678
0.178 0.328 0.919
0.181 0.581 0.538
0.185 0.755 0.724
0.205 0.893 0.996
0.216 0.829 0.397
0.232 0.156 0.585
0.245 0.778 0.134
0.246 0.972 0.581
0.284 0.211 0.412
0.307 0.194 0.022
0.311 0.401 0.125
0.353 0.494 0.890
0.362 0.004 0.861
0.379 0.788 0.008
0.428 0.589 0.028
0.431 0.208 0.764
0.436 0.959 0.219
0.456 0.636 0.654
0.459 0.104 0.524
0.537 0.622 0.357
0.556 0.344 0.001
0.558 0.924 0.695
0.578 0.905 0.119
0.619 0.809 0.467
0.625 0.691 0.871
0.640 0.427 0.823
0.699 0.194 0.399
0.708 0.045 0.919
0.708 0.654 0.607
0.725 0.731 0.342
0.771 0.908 0.799
0.778 0.487 0.392
0.828 0.087 0.191
0.828 0.453 0.999
0.831 0.012 0.629
0.831 0.810 0.036
0.855 0.092 0.791
0.857 0.939 0.401
0.859 0.423 0.731
0.928 0.634 0.824
0.936 0.165 0.573
0.957 0.814 0.169
0.958 0.530 0.628
0.971 0.715 0.444
0.989 0.266 0.445
0.013 0.693 0.702
0.055 0.838 0.931
0.082 0.426 0.546
0.086 0.199 0.677
0.094 0.963 0.467
0.096 0.692 0.161
0.130 0.215 0.339
0.139 0.667 0.414
0.167 0.308 0.072
0.190 0.452 0.822
0.202 0.936 0.729
0.261 0.919 0.267
0.277 0.176 0.851
0.282 0.612 0.668
0.314 0.322 0.559
0.329 0.016 0.029
0.350 0.833 0.522
0.364 0.814 0.847
0.392 0.663 0.277
0.422 0.536 0.179
0.440 0.134 0.365
0.445 0.280 0.104
0.452 0.265 0.612
0.477 0.360 0.852
0.488 0.924 0.537
0.498 0.778 0.773
0.524 0.060 0.804
0.543 0.260 0.356
0.551 0.640 0.520
0.551 0.739 0.022
0.627 0.569 0.732
0.662 0.494 0.982
0.675 0.124 0.560
0.684 0.560 0.283
0.700 0.225 0.961
0.720 0.852 0.641
0.735 0.268 0.613
0.735 0.972 0.064
0.743 0.273 0.762
0.749 0.036 0.324
0.796 0.757 0.875
0.819 0.266 0.177
0.829 0.321 0.390
0.837 0.271 0.036
0.850 0.602 0.514
0.892 0.782 0.313
0.963 0.893 0.525
0.969 0.533 0.941
0.991 0.125 0.899
0.994 0.001 0.164
```


Record 2
Entry from Materials Project: an optimized crystal structure of ZnS (PBE-GGA).

```
ZnS
1.0
3.854 0.000 0.000
-1.927 3.337 0.000
0.000 0.000 63.004
Zn S
20 20
direct
0.000 0.000 0.000
0.000 0.000 0.100
0.000 0.000 0.200
0.000 0.000 0.400
0.000 0.000 0.500
0.000 0.000 0.700
0.000 0.000 0.850
0.333 0.667 0.150
0.333 0.667 0.300
0.333 0.667 0.450
0.333 0.667 0.600
0.333 0.667 0.750
0.333 0.667 0.950
0.667 0.333 0.050
0.667 0.333 0.250
0.667 0.333 0.350
0.667 0.333 0.550
0.667 0.333 0.650
0.667 0.333 0.800
0.667 0.333 0.900
0.000 0.000 0.037
0.000 0.000 0.137
0.000 0.000 0.237
0.000 0.000 0.437
0.000 0.000 0.537
0.000 0.000 0.737
0.000 0.000 0.888
0.333 0.667 0.188
0.333 0.667 0.338
0.333 0.667 0.488
0.333 0.667 0.638
0.333 0.667 0.787
0.333 0.667 0.987
0.667 0.333 0.088
0.667 0.333 0.287
0.667 0.333 0.387
0.667 0.333 0.587
0.667 0.333 0.687
0.667 0.333 0.837
0.667 0.333 0.937
```


It is found that the calculated formation energy values, taken in the order of the records, are -0.6115, -1.0619 eV per atom.
It is found that the total energy after the MP2020 corrections values, taken in the order of the records, are -3.310, -3.760 eV/atom.
It is found that the calculated density values, taken in the order of the records, are 3406, 3995 kg/m³.

~~~~~

Material: DyInO3
Method: DFT, PBE
State: relaxed

Output
M_tot = 0.000 μB per cell
Theoretical density = 7715 kg/m3
ΔH_f (0 K) = -2305 meV/atom
Final energy = -6.333 eV/atom

_Worked solution_
Computed, not measured: PaGa3 after structural relaxation at the PBE level of DFT.

a = 6.2763 Å, b = 6.2763 Å, c = 4.5577 Å
α = 90.00°, β = 90.00°, γ = 120.00°
Last column: nearest neighbours and their distance in Å.
Space group P6_3/mmc (No. 194)
Asymmetric unit:
Pa 0.3333 0.6667 0.2500 x2  12 Ga 3.03-3.14
Ga 0.1496 0.2992 0.7500 x6  6 Ga 2.80-2.82, 2 Pa 3.03

Calculated values
**Energy relative to the lowest polymorph listed for this composition**: 0.07 eV/f.u.
**E**: -5.01 eV/atom
**Energy of formation from the pure elements**: -0.36 eV per atom

~~~~~

Record 1
Entry from Materials Project: an optimized crystal structure of ZnS (PBE-GGA).

```
ZnS
1.0
12.837 0.000 0.000
-0.259 12.862 0.000
-0.056 -1.404 14.390
Zn S
50 50
direct
0.000 0.000 0.000
0.000 0.695 0.026
0.120 0.087 0.791
0.128 0.044 0.275
0.159 0.367 0.678
0.178 0.328 0.919
0.181 0.581 0.538
0.185 0.755 0.724
0.205 0.893 0.996
0.216 0.829 0.397
0.232 0.156 0.585
0.245 0.778 0.134
0.246 0.972 0.581
0.284 0.211 0.412
0.307 0.194 0.022
0.311 0.401 0.125
0.353 0.494 0.890
0.362 0.004 0.861
0.379 0.788 0.008
0.428 0.589 0.028
0.431 0.208 0.764
0.436 0.959 0.219
0.456 0.636 0.654
0.459 0.104 0.524
0.537 0.622 0.357
0.556 0.344 0.001
0.558 0.924 0.695
0.578 0.905 0.119
0.619 0.809 0.467
0.625 0.691 0.871
0.640 0.427 0.823
0.699 0.194 0.399
0.708 0.045 0.919
0.708 0.654 0.607
0.725 0.731 0.342
0.771 0.908 0.799
0.778 0.487 0.392
0.828 0.087 0.191
0.828 0.453 0.999
0.831 0.012 0.629
0.831 0.810 0.036
0.855 0.092 0.791
0.857 0.939 0.401
0.859 0.423 0.731
0.928 0.634 0.824
0.936 0.165 0.573
0.957 0.814 0.169
0.958 0.530 0.628
0.971 0.715 0.444
0.989 0.266 0.445
0.013 0.693 0.702
0.055 0.838 0.931
0.082 0.426 0.546
0.086 0.199 0.677
0.094 0.963 0.467
0.096 0.692 0.161
0.130 0.215 0.339
0.139 0.667 0.414
0.167 0.308 0.072
0.190 0.452 0.822
0.202 0.936 0.729
0.261 0.919 0.267
0.277 0.176 0.851
0.282 0.612 0.668
0.314 0.322 0.559
0.329 0.016 0.029
0.350 0.833 0.522
0.364 0.814 0.847
0.392 0.663 0.277
0.422 0.536 0.179
0.440 0.134 0.365
0.445 0.280 0.104
0.452 0.265 0.612
0.477 0.360 0.852
0.488 0.924 0.537
0.498 0.778 0.773
0.524 0.060 0.804
0.543 0.260 0.356
0.551 0.640 0.520
0.551 0.739 0.022
0.627 0.569 0.732
0.662 0.494 0.982
0.675 0.124 0.560
0.684 0.560 0.283
0.700 0.225 0.961
0.720 0.852 0.641
0.735 0.268 0.613
0.735 0.972 0.064
0.743 0.273 0.762
0.749 0.036 0.324
0.796 0.757 0.875
0.819 0.266 0.177
0.829 0.321 0.390
0.837 0.271 0.036
0.850 0.602 0.514
0.892 0.782 0.313
0.963 0.893 0.525
0.969 0.533 0.941
0.991 0.125 0.899
0.994 0.001 0.164
```


Record 2
Entry from Materials Project: an optimized crystal structure of ZnS (PBE-GGA).

```
ZnS
1.0
3.854 0.000 0.000
-1.927 3.337 0.000
0.000 0.000 63.004
Zn S
20 20
direct
0.000 0.000 0.000
0.000 0.000 0.100
0.000 0.000 0.200
0.000 0.000 0.400
0.000 0.000 0.500
0.000 0.000 0.700
0.000 0.000 0.850
0.333 0.667 0.150
0.333 0.667 0.300
0.333 0.667 0.450
0.333 0.667 0.600
0.333 0.667 0.750
0.333 0.667 0.950
0.667 0.333 0.050
0.667 0.333 0.250
0.667 0.333 0.350
0.667 0.333 0.550
0.667 0.333 0.650
0.667 0.333 0.800
0.667 0.333 0.900
0.000 0.000 0.037
0.000 0.000 0.137
0.000 0.000 0.237
0.000 0.000 0.437
0.000 0.000 0.537
0.000 0.000 0.737
0.000 0.000 0.888
0.333 0.667 0.188
0.333 0.667 0.338
0.333 0.667 0.488
0.333 0.667 0.638
0.333 0.667 0.787
0.333 0.667 0.987
0.667 0.333 0.088
0.667 0.333 0.287
0.667 0.333 0.387
0.667 0.333 0.587
0.667 0.333 0.687
0.667 0.333 0.837
0.667 0.333 0.937
```


It is found that the calculated formation energy values, taken in the order of the records, are -0.6115, -1.0619 eV per atom.
It is found that the total energy after the MP2020 corrections values, taken in the order of the records, are -3.310, -3.760 eV/atom.
It is found that the calculated density values, taken in the order of the records, are 3406, 3995 kg/m³.

~~~~~

Material: DyInO3
Method: DFT, PBE
State: relaxed

Output
M_tot = 0.000 μB per cell
Theoretical density = 7715 kg/m3
ΔH_f (0 K) = -2305 meV/atom
Final energy = -6.333 eV/atom